Artist challenges you to see beauty in all bodies
CBC Radio | Posted: September 22, 2017 10:14 PM | Last Updated: September 22, 2017
"A lot of what I do in my work is - almost of all of what I do - is deal with what it means to be looked at. What it means to be in a stigmatized body. And most of my work is with people who have physical variations, but I also work a lot in the queer community. [There are] lots of different ways that the world tells us that we're unacceptable. Or ugly. Or disgusting." - Riva Lehrer
Riva Lehrer is an award-winning artist, activist and art instructor in Chicago, best known for her artwork of people with physical impairments and the LGBT community - people who know the discomfort of being stared at.
Lehrer can relate. She was born with spina bifida in 1958, just when medical advancements meant that she could be offered life-saving surgery right after birth.
Instead of seeing impairments, Lehrer sees bodies that are - in her words - unexpected, charming, exciting.
Lehrer is concerned with the ethics of the artist-subject relationship and she has experimented with ways to provide a more balanced power dynamic for the people that pose for her.
In her series The Risk Pictures, Lehrer works in three hour sessions: her subjects pose for the first two hours, then Lehrer leaves for the last hour, giving her subjects full reign of her home to do whatever they like -- as long as they contribute to the artwork she is creating.
"I leave the house. I know that people have slept in my bed, and eaten my food, and gone on my computer and stuff. I don't know if they've taken things, I don't know if they've looked through my personal belongings. You know, as I joke - if anyone finds my underwear on eBay, call me! But the first thing is I want to be vulnerable in terms of my very private space." - Riva Lehrer
Filmmaker and writer Chase Joynt shares what it was like from the other side of Lehrer's easel.
Lehrer also teaches an art class to medical school students at Northwestern University called 'Drawing Inside a Jar.' Students draw "deformed" fetuses and then research a person alive today with the same condition so they can, as future doctors, understand what it really means to live in those bodies.
"What they're taught is that these fetuses represent tragedies. That 'Oh my God, it's the worst thing in the world that this woman has had a baby like this and we may be telling her to abort it' or we may be telling her that this is going to catastrophic. And I know people - these people are friends of mine in a lot of cases - who have these same conditions. So what I'm trying to get my students to do is to think about real lived lives,' says Lehrer. "What they tell me [afterwards] is that their attitudes have radically changed. And they would be talking to parents very differently, much more about possibilities and hope and creativity and all the different ways you can have a good life."
Next to the page, the page also holds calculated crystals:
- - -
[1]
VASP calculation (PBE-GGA) on a geometry-optimized Li4HgPt structure.

Cell: 4.9607 4.9607 4.9607 Å, 60.00 60.00 60.00°
Positions (direct):
Li 0.8703 0.3766 0.3766
Li 0.3766 0.3766 0.8703
Li 0.3766 0.3766 0.3766
Li 0.3766 0.8703 0.3766
Pt 0.7500 0.7500 0.7500
Hg 0.0000 0.0000 0.0000

Values from the calculation:
Space-group type: F-43m, No. 216
Size of the total moment, μB per formula unit: 0.00
Crystal system: cubic
Energy above the most stable polymorph in this dataset, meV/atom: 150.5

=====

[2]
VASP calculation (PBE-GGA) on a geometry-optimized AgOs3 structure.

Cell: 4.9720 4.9720 4.9720 Å, 90.00 90.00 90.00°
Positions (direct):
Os 0.5000 0.0000 0.2500
Os 0.0000 0.2500 0.5000
Os 0.0000 0.7500 0.5000
Os 0.5000 0.0000 0.7500
Os 0.2500 0.5000 0.0000
Os 0.7500 0.5000 0.0000
Ag 0.0000 0.0000 0.0000
Ag 0.5000 0.5000 0.5000

Values from the calculation:
Space-group type: Pm-3n, No. 223
Size of the total moment, μB per formula unit: 0.00
Crystal system: cubic
Energy above the most stable polymorph in this dataset, meV/atom: 775.9

=====

[3]
VASP calculation (PBE-GGA) on a geometry-optimized NdY3Cd2 structure.

Cell: 3.7052 3.7052 12.6760 Å, 90.00 90.00 90.00°
Positions (direct):
Cd 0.5000 0.5000 0.1502
Cd 0.5000 0.5000 0.8498
Nd 0.5000 0.5000 0.5000
Y 0.0000 0.0000 0.3008
Y 0.0000 0.0000 0.6992
Y 0.0000 0.0000 0.0000

Values from the calculation:
Space-group type: P4/mmm, No. 123
Size of the total moment, μB per formula unit: 0.00
Crystal system: tetragonal

=====

[4]
VASP calculation (PBE-GGA) on a geometry-optimized RbTa2ZnNi structure.

Cell: 4.7866 4.9447 4.7866 Å, 90.00 90.00 90.00°
Site moments in Bohr magnetons follow the coordinates.
Positions (direct):
Zn 0.0000 0.5000 0.0000  -0.01
Ta 0.0000 0.0000 0.5000  0.53
Ta 0.5000 0.0000 0.0000  0.56
Rb 0.5000 0.5000 0.5000  0.05
Ni 0.0000 0.0000 0.0000  0.06

Values from the calculation:
Space-group type: P4/mmm, No. 123
Size of the total moment, μB per formula unit: 1.73
Crystal system: tetragonal
- - -
End of the calculated crystals:
In an article for the New York Times called "Where all Bodies are Exquisite," Lehrer explains her teaching methods and what it was like to encounter herself 'as a specimen' at the Mutter Museum in Philadelphia.